Assignment >
Now return the calculation results further down from the first line to the one with "0.7297" without altering anything.

Material >
____________
Crystalline Li2Ni3SbO8 at its relaxed geometry, computed with PBE with a Hubbard U.

## Properties
spin magnetization = 3.0 μB/cell
space group = R-3m
formation energy = -1.537 eV/atom
distance to the lowest polymorph of the same formula = 16.5 meV per atom

Cell: 6.0143 6.0141 6.0147 Å, 58.67 58.68 58.68°
Positions (direct):
1 O 0.2617 0.2616 0.7220
2 O 0.2703 0.2703 0.2703
3 O 0.7297 0.7297 0.7297
4 O 0.7384 0.2780 0.7383
5 O 0.7220 0.2617 0.2616
6 O 0.7383 0.7384 0.2780
7 O 0.2780 0.7383 0.7384
8 O 0.2616 0.7220 0.2617
9 Li 0.8737 0.8737 0.8737
10 Li 0.1263 0.1263 0.1263
11 Ni 0.0000 0.5000 0.5000
12 Ni 0.5000 0.0000 0.5000
13 Ni 0.5000 0.5000 0.0000
14 Sb 0.5000 0.5000 0.5000
____________

Here it is >
Crystalline Li2Ni3SbO8 at its relaxed geometry, computed with PBE with a Hubbard U.

## Properties
spin magnetization = 3.0 μB/cell
space group = R-3m
formation energy = -1.537 eV/atom
distance to the lowest polymorph of the same formula = 16.5 meV per atom

Cell: 6.0143 6.0141 6.0147 Å, 58.67 58.68 58.68°
Positions (direct):
1 O 0.2617 0.2616 0.7220
2 O 0.2703 0.2703 0.2703
3 O 0.7297 0.7297 0.7297